Activity:
Now duplicate everything further below without altering anything.

Input:
<<<
(1)
Compound: Ti2SbRuO
Source: the Alexandria database
Functional: PBE
Structure: optimized geometry

Summary:
Formation energy without anion corrections, eV/atom: -0.1945
Theoretical density, g/cm3: 6.1
Magnetic moment, μB/atom: 0.000

POSCAR file:
```
Ti2SbRuO
1.0
4.9039 0.0000 0.0000
0.0000 4.9039 0.0000
0.0000 0.0000 3.7579
Ti Sb Ru O
2 1 1 1
direct
0.0000 0.5000 0.0000
0.5000 0.0000 0.0000
0.0000 0.0000 0.5000
0.5000 0.5000 0.0000
0.5000 0.5000 0.5000
```

(2)
Compound: TlSbRu2O8
Source: the Alexandria database
Functional: PBE
Structure: optimized geometry

Summary:
Formation energy without anion corrections, eV/atom: -0.8307
Theoretical density, g/cm3: 6.1
Magnetic moment, μB/atom: 0.127

POSCAR file:
```
TlSbRu2O8
1.0
4.1432 -3.0908 0.0000
4.1432 3.0908 0.0000
-2.4707 0.0000 6.9744
Tl Sb Ru O
1 1 2 8
direct
0.0000 0.0000 0.0000
0.0000 0.0000 0.5000
0.4534 0.4534 0.7705
0.5466 0.5466 0.2295
0.2015 0.7145 0.2838
0.2519 0.2519 0.5437
0.2855 0.7985 0.7162
0.3471 0.3471 0.9498
0.6529 0.6529 0.0502
0.7145 0.2015 0.2838
0.7481 0.7481 0.4563
0.7985 0.2855 0.7162
```

(3)
Compound: TlSbRuO6
Source: the Alexandria database
Functional: PBE
Structure: optimized geometry

Summary:
Formation energy without anion corrections, eV/atom: -1.0259
Theoretical density, g/cm3: 7.2
Magnetic moment, μB/atom: 0.226

POSCAR file:
```
TlSbRuO6
1.0
5.3306 0.0000 0.0000
-2.6653 4.6164 0.0000
0.0000 0.0000 4.9028
Tl Sb Ru O
1 1 1 6
direct
0.0000 0.0000 0.0000
0.6667 0.3333 0.5000
0.3333 0.6667 0.5000
0.0051 0.3735 0.7235
0.0051 0.6317 0.2765
0.3683 0.3735 0.2765
0.3683 0.9949 0.7235
0.6265 0.6317 0.7235
0.6265 0.9949 0.2765
```

(4)
Compound: ZnSbRuO6
Source: the Alexandria database
Functional: PBE
Structure: optimized geometry

Summary:
Formation energy without anion corrections, eV/atom: -1.1481
Theoretical density, g/cm3: 6.2
Magnetic moment, μB/atom: 0.156

POSCAR file:
```
ZnSbRuO6
1.0
4.6679 0.0000 0.0000
0.0000 4.6679 0.0000
0.0000 0.0000 9.4625
Zn Sb Ru O
2 2 2 12
direct
0.0000 0.0000 0.0000
0.5000 0.5000 0.5000
0.0000 0.0000 0.3333
0.5000 0.5000 0.8333
0.0000 0.0000 0.6656
0.5000 0.5000 0.1656
0.1891 0.1891 0.5056
0.1956 0.1956 0.8280
0.2057 0.2057 0.1720
0.2943 0.7057 0.6720
0.3044 0.6956 0.3280
0.3109 0.6891 0.0056
0.6891 0.3109 0.0056
0.6956 0.3044 0.3280
0.7057 0.2943 0.6720
0.7943 0.7943 0.1720
0.8044 0.8044 0.8280
0.8109 0.8109 0.5056
```

(5)
Compound: ZrSb2RuO
Source: the Alexandria database
Functional: PBE
Structure: optimized geometry

Summary:
Formation energy without anion corrections, eV/atom: 0.5400
Theoretical density, g/cm3: 6.0
Magnetic moment, μB/atom: 0.000

POSCAR file:
```
ZrSb2RuO
1.0
4.9605 0.0000 0.0000
0.0000 4.9605 0.0000
0.0000 0.0000 5.0564
Zr Sb Ru O
1 2 1 1
direct
0.0000 0.0000 0.0000
0.0000 0.5000 0.5000
0.5000 0.0000 0.5000
0.0000 0.0000 0.5000
0.5000 0.5000 0.0000
```

(6)
Compound: Sc3RuO
Source: the Alexandria database
Functional: PBE
Structure: optimized geometry

Summary:
Formation energy without anion corrections, eV/atom: 0.1107
Theoretical density, g/cm3: 3.5
Offset from the most stable computed form, meV/atom: 1455
Magnetic moment, μB/atom: 0.000

POSCAR file:
```
Sc3RuO
1.0
4.9309 0.0000 0.0000
0.0000 4.9309 0.0000
0.0000 0.0000 4.9309
Sc Ru O
3 1 1
direct
0.0000 0.0000 0.5000
0.0000 0.5000 0.0000
0.5000 0.0000 0.0000
0.0000 0.0000 0.0000
0.5000 0.5000 0.5000
```

(7)
Compound: ScRuO3
Source: the Alexandria database
Functional: PBE
Structure: optimized geometry

Summary:
Formation energy without anion corrections, eV/atom: -1.0023
Theoretical density, g/cm3: 5.0
Magnetic moment, μB/atom: 1.000

POSCAR file:
```
ScRuO3
1.0
3.9988 0.0000 0.0000
0.0000 3.9988 0.0000
0.0000 0.0000 3.9988
Sc Ru O
1 1 3
direct
0.0000 0.0000 0.0000
0.5000 0.5000 0.5000
0.0000 0.0000 0.5000
0.0000 0.5000 0.0000
0.5000 0.0000 0.0000
```

(8)
Compound: ScRu3O
Source: the Alexandria database
Functional: PBE
Structure: optimized geometry

Summary:
Formation energy without anion corrections, eV/atom: -0.1978
>>>

Here it is:
(1)
Compound: Ti2SbRuO
Source: the Alexandria database
Functional: PBE
Structure: optimized geometry

Summary:
Formation energy without anion corrections, eV/atom: -0.1945
Theoretical density, g/cm3: 6.1
Magnetic moment, μB/atom: 0.000

POSCAR file:
```
Ti2SbRuO
1.0
4.9039 0.0000 0.0000
0.0000 4.9039 0.0000
0.0000 0.0000 3.7579
Ti Sb Ru O
2 1 1 1
direct
0.0000 0.5000 0.0000
0.5000 0.0000 0.0000
0.0000 0.0000 0.5000
0.5000 0.5000 0.0000
0.5000 0.5000 0.5000
```

(2)
Compound: TlSbRu2O8
Source: the Alexandria database
Functional: PBE
Structure: optimized geometry

Summary:
Formation energy without anion corrections, eV/atom: -0.8307
Theoretical density, g/cm3: 6.1
Magnetic moment, μB/atom: 0.127

POSCAR file:
```
TlSbRu2O8
1.0
4.1432 -3.0908 0.0000
4.1432 3.0908 0.0000
-2.4707 0.0000 6.9744
Tl Sb Ru O
1 1 2 8
direct
0.0000 0.0000 0.0000
0.0000 0.0000 0.5000
0.4534 0.4534 0.7705
0.5466 0.5466 0.2295
0.2015 0.7145 0.2838
0.2519 0.2519 0.5437
0.2855 0.7985 0.7162
0.3471 0.3471 0.9498
0.6529 0.6529 0.0502
0.7145 0.2015 0.2838
0.7481 0.7481 0.4563
0.7985 0.2855 0.7162
```

(3)
Compound: TlSbRuO6
Source: the Alexandria database
Functional: PBE
Structure: optimized geometry

Summary:
Formation energy without anion corrections, eV/atom: -1.0259
Theoretical density, g/cm3: 7.2
Magnetic moment, μB/atom: 0.226

POSCAR file:
```
TlSbRuO6
1.0
5.3306 0.0000 0.0000
-2.6653 4.6164 0.0000
0.0000 0.0000 4.9028
Tl Sb Ru O
1 1 1 6
direct
0.0000 0.0000 0.0000
0.6667 0.3333 0.5000
0.3333 0.6667 0.5000
0.0051 0.3735 0.7235
0.0051 0.6317 0.2765
0.3683 0.3735 0.2765
0.3683 0.9949 0.7235
0.6265 0.6317 0.7235
0.6265 0.9949 0.2765
```

(4)
Compound: ZnSbRuO6
Source: the Alexandria database
Functional: PBE
Structure: optimized geometry

Summary:
Formation energy without anion corrections, eV/atom: -1.1481
Theoretical density, g/cm3: 6.2
Magnetic moment, μB/atom: 0.156

POSCAR file:
```
ZnSbRuO6
1.0
4.6679 0.0000 0.0000
0.0000 4.6679 0.0000
0.0000 0.0000 9.4625
Zn Sb Ru O
2 2 2 12
direct
0.0000 0.0000 0.0000
0.5000 0.5000 0.5000
0.0000 0.0000 0.3333
0.5000 0.5000 0.8333
0.0000 0.0000 0.6656
0.5000 0.5000 0.1656
0.1891 0.1891 0.5056
0.1956 0.1956 0.8280
0.2057 0.2057 0.1720
0.2943 0.7057 0.6720
0.3044 0.6956 0.3280
0.3109 0.6891 0.0056
0.6891 0.3109 0.0056
0.6956 0.3044 0.3280
0.7057 0.2943 0.6720
0.7943 0.7943 0.1720
0.8044 0.8044 0.8280
0.8109 0.8109 0.5056
```

(5)
Compound: ZrSb2RuO
Source: the Alexandria database
Functional: PBE
Structure: optimized geometry

Summary:
Formation energy without anion corrections, eV/atom: 0.5400
Theoretical density, g/cm3: 6.0
Magnetic moment, μB/atom: 0.000

POSCAR file:
```
ZrSb2RuO
1.0
4.9605 0.0000 0.0000
0.0000 4.9605 0.0000
0.0000 0.0000 5.0564
Zr Sb Ru O
1 2 1 1
direct
0.0000 0.0000 0.0000
0.0000 0.5000 0.5000
0.5000 0.0000 0.5000
0.0000 0.0000 0.5000
0.5000 0.5000 0.0000
```

(6)
Compound: Sc3RuO
Source: the Alexandria database
Functional: PBE
Structure: optimized geometry

Summary:
Formation energy without anion corrections, eV/atom: 0.1107
Theoretical density, g/cm3: 3.5
Offset from the most stable computed form, meV/atom: 1455
Magnetic moment, μB/atom: 0.000

POSCAR file:
```
Sc3RuO
1.0
4.9309 0.0000 0.0000
0.0000 4.9309 0.0000
0.0000 0.0000 4.9309
Sc Ru O
3 1 1
direct
0.0000 0.0000 0.5000
0.0000 0.5000 0.0000
0.5000 0.0000 0.0000
0.0000 0.0000 0.0000
0.5000 0.5000 0.5000
```

(7)
Compound: ScRuO3
Source: the Alexandria database
Functional: PBE
Structure: optimized geometry

Summary:
Formation energy without anion corrections, eV/atom: -1.0023
Theoretical density, g/cm3: 5.0
Magnetic moment, μB/atom: 1.000

POSCAR file:
```
ScRuO3
1.0
3.9988 0.0000 0.0000
0.0000 3.9988 0.0000
0.0000 0.0000 3.9988
Sc Ru O
1 1 3
direct
0.0000 0.0000 0.0000
0.5000 0.5000 0.5000
0.0000 0.0000 0.5000
0.0000 0.5000 0.0000
0.5000 0.0000 0.0000
```

(8)
Compound: ScRu3O
Source: the Alexandria database
Functional: PBE
Structure: optimized geometry

Summary:
Formation energy without anion corrections, eV/atom: -0.1978